Seung-Kyum Choi

Seung-Kyum Choi

Seung-Kyum Choi

Associate Professor, Woodruff School of Mechanical Engineering

Seung-Kyum Choi directly began at Georgia Tech in Fall 2006 as an assistant professor. Prior to joining Georgia Tech, he was a research assistant at Wright State University, conducting research on uncertainty quantification techniques for the analytical certification of complex engineered systems.


Office Location:
MARC 260

Google Scholar

Research Focus Areas:
  • Computational Materials Science
Additional Research:
Additive/Advanced Manufacturing; Computer-Aided Engineering; Materials Failure and Reliability; Modeling; Uncertainty Modeling

IRI Connections:

Naresh Thadhani

Naresh Thadhani

Naresh Thadhani

Professor and Chair, School of Materials Science and Engineering

Thadhani joined the faculty in the School of Materials Science and Engineering at Georgia Tech in September, 1992. His research focuses on studies of shock-induced physical, chemical, and mechanical changes for processing of novel materials and for probing the deformation and fracture response of metals, ceramics, polymers, and composites, subjected to high-rate impact loading conditions. He has developed state-of-the-art high-strain-rate laboratory which includes 80-mm and 7.62-mm diameter single-stage gas-guns, and a laser-accelerated thin-foil set-up, to perform impact experiments at velocities of 70 to 1200 m/s. The experiments employ time-resolved diagnostics to monitor shock-initiated events with nanosecond resolution employing piezoelectric and piezoresistive stress gauges, VISAR interferometry, Photonic-doppler-velocimetry, and high-speed digital imaging, combined with the ability to recover impacted materials for post-mortem microstructural characterization and determination of other properties. He has built computational capabilities employing continuum simulations for design of experiments and development and validation of constitutive equations, as well as for meso-scale discrete particle numerical analysis (using CTH and ALE3D codes) to determine the effects observed during shock compression of heterogeneous materials, using real microstructures.


Office Location:
Love 286

MSE Profile Page

  • High-Strain Rate Laboratory
  • Google Scholar

    Research Focus Areas:
    • Materials and Nanotechnology
    Additional Research:
    deformation and degradation; fracture and fatigue; Ceramics; Materials Failure and Reliability; Materials In Extreme Environments; Materials Testing

    IRI Connections:

    Robert F. Speyer

    Robert F. Speyer

    Robert F. Speyer

    Professor, School of Materials Science and Engineering

    Speyer joined the MSE faculty in August, 1992 after serving on the faculty at the New York State College of Ceramics at Alfred University for six years.  He has written one book (Thermal Analysis of Materials), with another one on the way, published over 125 refereed papers and has given over 150 technical presentations.

    His present research group consists of seven graduate students and one Ph.D-level scientist. Dr. Speyer’s research has been funded by Navy, ARO, AFOSR, DARPA, Gas Research Institute, and private industry.  He was previously the president of Innovative Thermal Systems, a thermoanalytical scientific instrument company, and is presently the President of Verco Materials, a start-up company which will manufacture boron carbide armor .

    He teaches courses in Chemical Thermodynamics of Materials, Thermal and Transport Properties of Materials, and Ceramic Technology.


    Office Location:
    Love 260

    MSE Profile Page

    Research Focus Areas:
    • Materials and Nanotechnology
    Additional Research:
    Thermal management; Ceramics; Modeling; Fabrication

    IRI Connections:

    Mary Lynn Realff

    Mary Lynn Realff

    Mary Lynn Realff

    Associate Professor, School of Materials Science and Engineering
    Associate Chair for Undergrad Programs, School of Materials Science and Engineering

    Mary Lynn Realff is an Associate Professor of Materials Science and Engineering at Georgia Institute of Technology (Georgia Tech). She received her BS Textile Engineering from Georgia Tech and her Ph.D. in Mechanical Engineering and Polymer Science and Engineering from the Massachusetts Institute of Technology (MIT).

    Her current research is focused on Effective Team Dynamics for both undergraduate and graduate students. The Effective Team Dynamics Initiative develops curriculum and workshops that enable students to gain the competencies to work effectively in teams and for faculty to gain the competencies to guide students through challenging team dynamics is making a positive impacts at Georgia Tech.


    Office Location:
    MRDC 1 4510

    MSE Profile Page

== Unrelated to this entry: materials data ==
<<<
# Ba3Al7Cd2

An optimized crystal structure of Ba3Al7Cd2 (GGA-PBE, Alexandria via LeMat-Bulk).

energy of formation from the pure elements	-0.1886	eV/atom

Unit cell a=6.0279 b=6.0279 c=10.1426 alpha=72.71 beta=72.71 gamma=60.00
Last column: nearest neighbours and their distance in Å.
Atoms (fractional coordinates):
Ba  0.0000  0.0000  0.0000  6 Cd 3.48, 12 Al 3.83
Ba  0.8571  0.8571  0.4288  12 Al 3.47-3.55, 3 Ba 3.74
Ba  0.1429  0.1429  0.5712  12 Al 3.47-3.55, 3 Ba 3.74
Al  0.5000  0.5000  0.5000  6 Al 2.99
Al  0.9257  0.4130  0.2483  2 Cd 2.90-2.98, 5 Al 2.94-3.09
Al  0.4130  0.9257  0.2483  2 Cd 2.90-2.98, 5 Al 2.94-3.09
Al  0.4130  0.4130  0.2483  2 Cd 2.90-2.98, 5 Al 2.94-3.09
Al  0.0743  0.5870  0.7517  2 Cd 2.90-2.98, 5 Al 2.94-3.09
Al  0.5870  0.5870  0.7517  2 Cd 2.90-2.98, 5 Al 2.94-3.09
Al  0.5870  0.0743  0.7517  2 Cd 2.90-2.98, 5 Al 2.94-3.09
Cd  0.6638  0.6638  0.0086  6 Al 2.90-2.98
Cd  0.3362  0.3362  0.9914  6 Al 2.90-2.98



# ThZnSnPd

An optimized crystal structure of ThZnSnPd (GGA-PBE, Alexandria via LeMat-Bulk).

energy of formation from the pure elements	-0.5536	eV/atom

Unit cell a=4.9594 b=4.9594 c=4.9594 alpha=60.00 beta=60.00 gamma=60.00
Last column: nearest neighbours and their distance in Å.
Atoms (fractional coordinates):
Zn  0.5000  0.5000  0.5000  4 Th 3.04, 4 Sn 3.04
Pd  0.0000  0.0000  0.0000  4 Th 3.04, 4 Sn 3.04
Sn  0.2500  0.2500  0.2500  4 Pd 3.04, 4 Zn 3.04
Th  0.7500  0.7500  0.7500  4 Pd 3.04, 4 Zn 3.04



# SrCa2Zn2

An optimized crystal structure of SrCa2Zn2 (GGA-PBE, Alexandria via LeMat-Bulk).

distance to the lowest polymorph of the same formula	0.021	eV/atom
energy of formation from the pure elements	-0.1732	eV/atom

Unit cell a=8.2451 b=8.2451 c=4.5262 alpha=90.00 beta=90.00 gamma=90.00
Last column: nearest neighbours and their distance in Å.
Atoms (fractional coordinates):
Sr  0.0000  0.0000  0.0000  4 Zn 3.31
Sr  0.5000  0.5000  0.0000  4 Zn 3.31
Zn  0.3840  0.8840  0.0000  1 Zn 2.71
Zn  0.8840  0.6160  0.0000  1 Zn 2.71
Zn  0.6160  0.1160  0.0000  1 Zn 2.71
Zn  0.1160  0.3840  0.0000  1 Zn 2.71
Ca  0.1660  0.6660  0.5000  6 Zn 3.27-3.40
Ca  0.6660  0.8340  0.5000  6 Zn 3.27-3.40
Ca  0.8340  0.3340  0.5000  6 Zn 3.27-3.40
Ca  0.3340  0.1660  0.5000  6 Zn 3.27-3.40



# MnMo2Pt

An optimized crystal structure of MnMo2Pt (GGA-PBE, Alexandria via LeMat-Bulk).
>>>

    Research Focus Areas:
    • Materials and Nanotechnology
    Additional Research:
    Polymers; Fibers; Modeling

    IRI Connections:

    Mo Li

    Mo Li

    Mo Li

    Professor, School of Materials Science and Engineering
    Director, Computational Materials Science Group

    Professor Mo Li received his Ph.D. in applied physics in 1994 from California Institute of Technology under the supervision of Professor William L. Johnson and Professor William A. Goddard.

    After a brief staying as a postdoctoral fellow at Caltech and the Argonne National Laboratory, he joined Morgan Stanley & Co. in New York. He came back to academia in 1998. From 1998 to 2001 he was an assistant professor at the Johns Hopkins University. Currently he is a professor at the Georgia Institute of Technology.

Between two parts of the page: data records:
~~~
Entry 1:
# SmHf2Zr3N6, relaxed, DFT PBE
# - Space-group type: C2/m
# - E_form (uncorrected): -160.1 kJ per mole of atoms
data_SmHf2Zr3N6
_cell_length_a 3.272
_cell_length_b 6.644
_cell_length_c 7.354
_cell_angle_alpha 102.70
_cell_angle_beta 102.85
_cell_angle_gamma 90.00
_space_group_name_H-M_alt 'P 1'
_space_group_IT_number 1
loop_
_space_group_symop_operation_xyz
'x,y,z'
loop_
_atom_site_label
_atom_site_type_symbol
_atom_site_fract_x
_atom_site_fract_y
_atom_site_fract_z
N1 N 0.331 0.424 0.661
Zr1 Zr 0.500 0.500 0.000
Zr2 Zr 0.834 0.168 0.668
Hf1 Hf 0.832 0.665 0.665
N2 N 0.674 0.098 0.348
N3 N 0.669 0.576 0.339
N4 N 0.006 0.271 0.012
Zr3 Zr 0.166 0.832 0.332
N5 N 0.994 0.729 0.988
N6 N 0.326 0.902 0.652
Hf2 Hf 0.168 0.335 0.335
Sm1 Sm 0.500 0.000 0.000

Entry 2:
# SmHf2ZrN4, relaxed, DFT PBE
# - Space-group type: Imma
# - E_form (uncorrected): -161.3 kJ per mole of atoms
data_SmHf2ZrN4
_cell_length_a 6.618
_cell_length_b 6.618
_cell_length_c 6.588
_cell_angle_alpha 119.85
_cell_angle_beta 119.85
_cell_angle_gamma 90.02
_space_group_name_H-M_alt 'P 1'
_space_group_IT_number 1
loop_
_space_group_symop_operation_xyz
'x,y,z'
loop_
_atom_site_label
_atom_site_type_symbol
_atom_site_fract_x
_atom_site_fract_y
_atom_site_fract_z
Sm1 Sm 0.000 0.500 0.500
N1 N 0.278 0.769 0.024
Sm2 Sm 0.000 0.500 0.000
Zr1 Zr 0.000 0.000 0.000
N2 N 0.722 0.231 0.976
Zr2 Zr 0.500 0.500 0.500
Hf1 Hf 0.500 0.000 0.500
Hf2 Hf 0.500 0.000 0.000
N3 N 0.738 0.762 0.490
N4 N 0.731 0.222 0.476
N5 N 0.738 0.762 0.010
N6 N 0.269 0.778 0.524
Hf3 Hf 0.500 0.500 0.000
Hf4 Hf 0.000 0.000 0.500
N7 N 0.262 0.238 0.990
N8 N 0.262 0.238 0.510

Entry 3:
# Sm2HfZrN4, relaxed, DFT PBE
# - Space-group type: P2/m
# - E_form (uncorrected): -158.6 kJ per mole of atoms
data_Sm2HfZrN4
_cell_length_a 3.364
_cell_length_b 5.818
_cell_length_c 5.969
_cell_angle_alpha 109.03
_cell_angle_beta 90.00
_cell_angle_gamma 90.00
_space_group_name_H-M_alt 'P 1'
_space_group_IT_number 1
loop_
_space_group_symop_operation_xyz
'x,y,z'
loop_
_atom_site_label
_atom_site_type_symbol
_atom_site_fract_x
_atom_site_fract_y
_atom_site_fract_z
Zr1 Zr 0.500 0.500 0.000
N1 N 0.500 0.235 0.216
Sm1 Sm 0.000 0.500 0.500
Sm2 Sm 0.500 0.000 0.500
Hf1 Hf 0.000 0.000 0.000
N2 N 0.500 0.765 0.784
N3 N 0.000 0.256 0.782
N4 N 0.000 0.744 0.218

* * * * *

[1]
Material: PdPt2Rh
Method: DFT, GGA-PBE
State: optimized geometry

Geometry as POSCAR:
```
PdPt2Rh
1.0
-1.5544 -2.0589 2.9230
1.4422 -3.5098 0.8946
3.4287 0.4524 4.7419
Pt Pd Rh
2 1 1
direct
0.2516 0.2516 0.2453 Pt
0.0856 0.0856 0.7433 Pt
0.6667 0.6667 0.0000 Pd
0.4962 0.4962 0.5114 Rh
```

[2]
PdPt4Rh4, optimized geometry, DFT GGA-PBE; energy relative to the lowest polymorph listed for this composition = 0.000 kcal/mol of atoms
1.0
3.6851 0.0000 1.2480
1.8425 5.8811 0.6240
-0.0439 0.0000 6.1943
Rh Pt Pd
4 4 1
direct
0.6670 0.6660 0.0000 Rh
0.3330 0.3340 0.0000 Rh
0.6670 0.0000 0.6660 Rh
0.3330 0.0000 0.3340 Rh
0.6697 0.3303 0.3303 Pt
0.0000 0.6697 0.3303 Pt
~~~


    Office Location:
    Love 365

    MSE Profile Page

  • Computational Materials Science Group
  • Google Scholar

    Research Focus Areas:
    • Computational Materials Science
    Additional Research:
    computational mechanics; micro and nanomechanics; Nanomaterials; Materials In Extreme Environments

    IRI Connections:

    Arun Gokhale

    Arun Gokhale

    Arun Gokhale

    Professor, School of Materials Science and Engineering

    Arun M. Gokhale is a Professor in the School of Materials Science and Engineering at the Georgia Institute of Technology. Prior to joining the Georgia Tech faculty in 1989, Gokhale’s work history encompassed fifteen years of teaching, and industrial research and development experience. Gokhale holds a B.Tech (1970) and M.Tech (1972) in Metallurgical Engineering from the Indian Institute of Technology, and a Ph.D. in Materials Science and Engineering (1977) from the University of Florida. 

    Gokhale’s research interests include quantitative fractography, damage evolution in composites, microstructural evolution during deformation and fracture, with primary focus on quantitative description of microstructure and its evolution during materials processes.

    Gokhale has written 200 papers in reputed scientific journals and conference proceedings. He has given more than 100 invited lectures in the national and international conferences and seminars. He is a Fellow of ASM International. He served as Vice President of International Society for Stereology (1992-96). He has served on the editorial boards of several international journals.


    Office Location:
    Love 265

    MSE Profile Page

    Google Scholar

    Research Focus Areas:
    • Computational Materials Science
    Additional Research:
    Composites; computational mechanics; deformation and degradation; micro and nanomechanics

    IRI Connections:

    Josh Kacher

    Josh Kacher

    Josh Kacher

    Associate Professor, School of Materials Science and Engineering

    Josh Kacher joined Georgia Tech’s Materials Science and Engineering department as an assistant professor in Fall of 2015. Prior to his appointment, he was a postdoctoral scholar at the University of California, Berkeley. There, he worked in collaboration with General Motors to understand the Portevin-le Chatelier effect in Al-Mg and with the navy to develop novel rhenium-replacement alloys. His research approach centered on applying in situ TEM deformation to understand the influence of local chemistry on the behavior of defects such as dislocations and twins. This was coupled with mesoscale characterization of the defect state using EBSD for multiscale characterization of the deformation processes.

    His Ph.D. and Masters work similarly focused on applying multiscale electron microscopy techniques to understanding defect behavior in a variety of systems such as ion-irradiated stainless steels, materials at elevated temperatures, and Mg alloys for light-weight alloy development.


    Office Location:
    Love 282

    MSE Profile Page

  • Kacher Lab
  • Google Scholar

    Research Focus Areas:
    • Materials and Nanotechnology
    Additional Research:
    Materials In Extreme Environments; corrosion; deformation and degradation; Advanced Characterization; micro and nanomechanics; fracture and fatigue

    IRI Connections:

    Waymond R. Scott

    Waymond R. Scott

    Waymond R Scott

    Joseph M. Pettit Professor, School of Electrical and Computer Engineering

    Professor Scott was born in Calhoun, GA. He received the B.E.E., M.S.E.E., and Ph.D. degrees from the Georgia Institute of Technology in 1980, 1982, and 1985, respectively.

    He joined the Georgia Tech faculty in 1986 where he teaches and performs research in the area of applied electromagnetics and acoustics. As part of the teaching, he is interested in using computers to enhance the learning experience of students and has developed computer based visualization tools and animations to help students understand some of the more difficult aspects of electromagnetics.


    Office Location:
    VL W307

    ECE Profile Page

  • Personal Research Site
  • Research Focus Areas:
    • Materials and Nanotechnology
    Additional Research:
    Acoustics and Dynamics; Computer-Aided Engineering; micro and nanomechanics

    IRI Connections:

    William Hunt

    William Hunt

    William Hunt

    Professor, School of Electrical and Computer Engineering
    Director, Microelectronic Acoustics Group

    Hunt grew up in the literary haven of Columbus, Mississippi, the boyhood home of Tennessee Williams, and received his B.S.E.E. from the University of Alabama in 1976. He worked for Harris Corporation for two years in the areas of acousto-optics and surface acoustic wave (SAW). He then entered the Massachusetts Institute of Technology where he earned his S.M.E.E. in 1980 and conducted research in the field of auditory physiology. After four years with Bolt, Beranek and Newman, Inc. he entered the University of Illinois, Champaign-Urbana where he received his Ph.D. in electrical engineering in 1987. His research there was on acoustic charge transport (ACT) devices and the SAW properties of Gallium Arsenide.

    Hunt joined the faculty of the Georgia Institute of Technology in the fall of 1987 as one of the original members of the Pettit Microsystems Research Center. There he founded the Microelectronic Acoustics Group which focuses on the development of ultrasonic devices that can be integrated with Microsystems. Among these have been, ACT devices, micromachined polyvinylidene fluoride-trifluoroethylene (PVDF)-based transducers for intravascular ultrasound, acousto-optic devices for tunable lasers as well as SAW and bulk acoustic wave (BAW) devices for wireless and chemical sensor applications.


    Office Location:
    MiRC 221

    Microelectronic Acoustics Group

  • ECE Profile Page
  • Google Scholar

    Research Focus Areas:
    • Electronic Materials
    Additional Research:
    Piezoelectronic Materials; Thin Films; Acoustics and Dynamics; Bio-Devices; Fabrication

    IRI Connections:

    William Doolittle

    William Doolittle

    William Doolittle

    Joseph M. Pettit Professor, School of Electrical and Computer Engineering

    During my research career I have observed “new” material systems develop and offer promise of wondrous device performance improvements over the current state of the art. Many of these promises have been kept, resulting in numerous new devices that could never have been dreamed of just a few short years ago. Other promises have not been fulfilled, due, in part, to a lack of understanding of the key limitations of these new material systems. Regardless of the material in question, one fact remains true: Without a detailed understanding of the electrical and optical interaction of electronic and photonic “particles” with the material and defect environment around them, novel device development is clearly impeded. It is not just a silicon world! Modern electronic/optoelectronic device designs (even silicon based devices) utilize many diverse materials, including mature dielectrics such as silicon dioxide/nitrides/oxynitrides, immature ferroelectric oxides, silicides, metal alloys, and new semiconductor compounds. Key to the continued progress of electronic devices is the continued development of a detailed understanding of the interaction of these materials and the defects and limitations inherent to each material system. It is my commitment to insure that new devices are continuously produced based on complex mixed family material systems.


    Office Location:
    MIRC 209

    ECE Profile Page

  • Personal Research Site
  • Google Scholar

    Research Focus Areas:
    • Materials and Nanotechnology
    • Micro and Nano Device Engineering
    Additional Research:
    Compund semiconductors, optical materials, III-V semiconductor devices

    IRI Connections: